### Listing
~~~
Ba3MgMn3O9: simulated powder XRD pattern (λ = 1.5418 Å (Cu Kα)), based on a crystal structure in the Materials Project, relaxed with PBE+U.
No peak broadening, texture or thermal motion is included.

Crystal structure
```
data_Ba3MgMn3O9
_cell_length_a 10.467
_cell_length_b 5.736
_cell_length_c 8.941
_cell_angle_alpha 90.00
_cell_angle_beta 122.41
_cell_angle_gamma 90.00
_symmetry_space_group_name_H-M 'C 1 m 1'
_symmetry_Int_Tables_number 8
loop_
_symmetry_equiv_pos_as_xyz
'x,y,z'
'x,-y,z'
'x+1/2,y+1/2,z'
'x+1/2,-y+1/2,z'
loop_
_atom_site_label
_atom_site_type_symbol
_atom_site_fract_x
_atom_site_fract_y
_atom_site_fract_z
_atom_site_occupancy
Ba1 Ba 0.000 0.000 0.000 1
Ba2 Ba 0.061 0.500 0.791 1
Ba3 Ba 0.350 0.500 0.330 1
Mg1 Mg 0.149 0.500 0.525 1
Mn1 Mn 0.226 0.000 0.477 1
Mn2 Mn 0.249 0.000 0.837 1
Mn3 Mn 0.435 0.000 0.188 1
O1 O 0.041 0.000 0.716 1
O2 O 0.093 0.266 0.322 1
O3 O 0.265 0.235 0.694 1
O4 O 0.277 0.223 0.032 1
O5 O 0.408 0.000 0.410 1
O6 O 0.478 0.000 0.007 1
```

Most intense lines, 2θ from 10° to 90°, most intense first:
30.90°, intensity 100; 31.19°, intensity 80; 25.39°, intensity 70; 30.31°, intensity 69; 42.65°, intensity 65; 28.35°, intensity 63; 35.09°, intensity 51; 62.37°, intensity 41; 24.68°, intensity 34; 43.82°, intensity 34

* * * * *

# 1
Diffraction record for Li4CdSn2Au. The PXRD pattern is computed, not measured: it uses a crystal structure in OQMD, relaxed with PBE and copper Kα.
Intensities are scaled so that the largest is 100.

Most intense lines, 2θ = 10–80°, by angle:
two_theta, I/Imax
23.4, 100
38.6, 94
45.6, 52
61.3, 22
69.9, 33
74.9, 16

Lattice parameters (Å, degrees): 4.659 4.659 6.595 90.00 90.00 90.00
Fractional positions:
Li 0.000 0.000 0.000
Li 0.000 0.500 0.232
Li 0.500 0.000 0.768
Li 0.500 0.500 0.500
Cd 0.000 0.000 0.500
Sn 0.000 0.500 0.759
Sn 0.500 0.000 0.241
Au 0.500 0.500 0.000

=====

# 2
Diffraction record for Ta4CuN3. The PXRD pattern is computed, not measured: it uses a crystal structure in OQMD, relaxed with PBE and copper Kα.
Intensities are scaled so that the largest is 100.

Most intense lines, 2θ = 10–80°, by angle:
two_theta, I/Imax
33.8, 36
36.5, 32
38.4, 60
40.7, 100
58.6, 44
72.9, 27

Lattice parameters (Å, degrees): 3.148 3.148 22.892 90.00 90.00 120.00
Fractional positions:
Ta 0.000 0.000 0.160
Ta 0.000 0.000 0.340
Ta 0.000 0.000 0.660
Ta 0.000 0.000 0.840
Ta 0.333 0.667 0.059
Ta 0.333 0.667 0.441
Ta 0.667 0.333 0.559
Ta 0.667 0.333 0.941
Cu 0.333 0.667 0.250
Cu 0.667 0.333 0.750
N 0.000 0.000 0.000
N 0.000 0.000 0.500
N 0.333 0.667 0.612
N 0.333 0.667 0.888
N 0.667 0.333 0.112
N 0.667 0.333 0.388

=====

# 3
Diffraction record for DyYIn4Co2. The PXRD pattern is computed, not measured: it uses a crystal structure in OQMD, relaxed with PBE and copper Kα.
Intensities are scaled so that the largest is 100.

Most intense lines, 2θ = 10–80°, by angle:
two_theta, I/Imax
32.8, 100
33.6, 39
35.7, 52
39.8, 32
42.4, 37
42.5, 38

Lattice parameters (Å, degrees): 7.580 5.557 5.557 45.17 90.00 90.00
Fractional positions:
Dy 0.000 0.000 0.000
Y 0.500 0.132 0.132
In 0.199 0.712 0.712
In 0.301 0.420 0.420
In 0.699 0.420 0.420
In 0.801 0.712 0.712
Co 0.000 0.281 0.281
Co 0.500 0.850 0.850

=====

# 4
Diffraction record for Sr3Cu4Sb4. The PXRD pattern is computed, not measured: it uses a crystal structure in OQMD, relaxed with PBE and copper Kα.
Intensities are scaled so that the largest is 100.

Most intense lines, 2θ = 10–80°, by angle:
two_theta, I/Imax
32.0, 100
32.6, 80
37.8, 45
42.1, 19
43.5, 34
44.4, 22

Lattice parameters (Å, degrees): 8.736 8.736 8.736 148.38 132.05 58.57
Fractional positions:
Sr 0.000 0.000 0.000
Sr 0.368 0.868 0.500
Sr 0.632 0.132 0.500
Cu 0.012 0.331 0.681
Cu 0.350 0.669 0.681
Cu 0.650 0.331 0.319
Cu 0.988 0.669 0.319
Sb 0.219 0.219 0.000
Sb 0.297 0.500 0.797
Sb 0.703 0.500 0.203
Sb 0.781 0.781 0.000

=====

# 5
~~~
### Request
Repeat everything earlier on with every line break kept, please.
### Completed
Ba3MgMn3O9: simulated powder XRD pattern (λ = 1.5418 Å (Cu Kα)), based on a crystal structure in the Materials Project, relaxed with PBE+U.
No peak broadening, texture or thermal motion is included.

Crystal structure
```
data_Ba3MgMn3O9
_cell_length_a 10.467
_cell_length_b 5.736
_cell_length_c 8.941
_cell_angle_alpha 90.00
_cell_angle_beta 122.41
_cell_angle_gamma 90.00
_symmetry_space_group_name_H-M 'C 1 m 1'
_symmetry_Int_Tables_number 8
loop_
_symmetry_equiv_pos_as_xyz
'x,y,z'
'x,-y,z'
'x+1/2,y+1/2,z'
'x+1/2,-y+1/2,z'
loop_
_atom_site_label
_atom_site_type_symbol
_atom_site_fract_x
_atom_site_fract_y
_atom_site_fract_z
_atom_site_occupancy
Ba1 Ba 0.000 0.000 0.000 1
Ba2 Ba 0.061 0.500 0.791 1
Ba3 Ba 0.350 0.500 0.330 1
Mg1 Mg 0.149 0.500 0.525 1
Mn1 Mn 0.226 0.000 0.477 1
Mn2 Mn 0.249 0.000 0.837 1
Mn3 Mn 0.435 0.000 0.188 1
O1 O 0.041 0.000 0.716 1
O2 O 0.093 0.266 0.322 1
O3 O 0.265 0.235 0.694 1
O4 O 0.277 0.223 0.032 1
O5 O 0.408 0.000 0.410 1
O6 O 0.478 0.000 0.007 1
```

Most intense lines, 2θ from 10° to 90°, most intense first:
30.90°, intensity 100; 31.19°, intensity 80; 25.39°, intensity 70; 30.31°, intensity 69; 42.65°, intensity 65; 28.35°, intensity 63; 35.09°, intensity 51; 62.37°, intensity 41; 24.68°, intensity 34; 43.82°, intensity 34

* * * * *

# 1
Diffraction record for Li4CdSn2Au. The PXRD pattern is computed, not measured: it uses a crystal structure in OQMD, relaxed with PBE and copper Kα.
Intensities are scaled so that the largest is 100.

Most intense lines, 2θ = 10–80°, by angle:
two_theta, I/Imax
23.4, 100
38.6, 94
45.6, 52
61.3, 22
69.9, 33
74.9, 16

Lattice parameters (Å, degrees): 4.659 4.659 6.595 90.00 90.00 90.00
Fractional positions:
Li 0.000 0.000 0.000
Li 0.000 0.500 0.232
Li 0.500 0.000 0.768
Li 0.500 0.500 0.500
Cd 0.000 0.000 0.500
Sn 0.000 0.500 0.759
Sn 0.500 0.000 0.241
Au 0.500 0.500 0.000

=====

# 2
Diffraction record for Ta4CuN3. The PXRD pattern is computed, not measured: it uses a crystal structure in OQMD, relaxed with PBE and copper Kα.
Intensities are scaled so that the largest is 100.

Most intense lines, 2θ = 10–80°, by angle:
two_theta, I/Imax
33.8, 36
36.5, 32
38.4, 60
40.7, 100
58.6, 44
72.9, 27

Lattice parameters (Å, degrees): 3.148 3.148 22.892 90.00 90.00 120.00
Fractional positions:
Ta 0.000 0.000 0.160
Ta 0.000 0.000 0.340
Ta 0.000 0.000 0.660
Ta 0.000 0.000 0.840
Ta 0.333 0.667 0.059
Ta 0.333 0.667 0.441
Ta 0.667 0.333 0.559
Ta 0.667 0.333 0.941
Cu 0.333 0.667 0.250
Cu 0.667 0.333 0.750
N 0.000 0.000 0.000
N 0.000 0.000 0.500
N 0.333 0.667 0.612
N 0.333 0.667 0.888
N 0.667 0.333 0.112
N 0.667 0.333 0.388

=====

# 3
Diffraction record for DyYIn4Co2. The PXRD pattern is computed, not measured: it uses a crystal structure in OQMD, relaxed with PBE and copper Kα.
Intensities are scaled so that the largest is 100.

Most intense lines, 2θ = 10–80°, by angle:
two_theta, I/Imax
32.8, 100
33.6, 39
35.7, 52
39.8, 32
42.4, 37
42.5, 38

Lattice parameters (Å, degrees): 7.580 5.557 5.557 45.17 90.00 90.00
Fractional positions:
Dy 0.000 0.000 0.000
Y 0.500 0.132 0.132
In 0.199 0.712 0.712
In 0.301 0.420 0.420
In 0.699 0.420 0.420
In 0.801 0.712 0.712
Co 0.000 0.281 0.281
Co 0.500 0.850 0.850

=====

# 4
Diffraction record for Sr3Cu4Sb4. The PXRD pattern is computed, not measured: it uses a crystal structure in OQMD, relaxed with PBE and copper Kα.
Intensities are scaled so that the largest is 100.

Most intense lines, 2θ = 10–80°, by angle:
two_theta, I/Imax
32.0, 100
32.6, 80
37.8, 45
42.1, 19
43.5, 34
44.4, 22

Lattice parameters (Å, degrees): 8.736 8.736 8.736 148.38 132.05 58.57
Fractional positions:
Sr 0.000 0.000 0.000
Sr 0.368 0.868 0.500
Sr 0.632 0.132 0.500
Cu 0.012 0.331 0.681
Cu 0.350 0.669 0.681
Cu 0.650 0.331 0.319
Cu 0.988 0.669 0.319
Sb 0.219 0.219 0.000
Sb 0.297 0.500 0.797
Sb 0.703 0.500 0.203
Sb 0.781 0.781 0.000

=====

# 5